O’Daddy Wants Parents to Stop Using Their Phones and Hang Out With Their Kids
If you’re anything like me, you probably spend a lot of time on your phone – and I mean A LOT of time. If the modern world is symbolized by anything, it’s the image of people everywhere staring intently into their phones.
I love my phone and I love all of the apps that I use all the time. They help me communicate with my friends and family, inform me about the world, and entertain me. But at the same time, my phone also distracts me from the world around me and can sometimes disconnect me from the people I’m with.
One of the promises of technology is that it will improve our lives. However, while modern smartphones have undoubtedly given us incredible value, they haven’t universally made our lives better, specifically because of the way in which we have become addicted to them.
Between two parts of the text: molecular data
____________
The following is a DFT calculation (the ωB97M-V functional and the def2-TZVPD basis) of a single C4H5NOS molecule in a non-equilibrium geometry.

```
12
Properties=species:S:1:pos:R:3:forces:R:3
C 1.442562 0.133711 1.000099 0.3 -0.3 0.7
C 1.100421 0.187159 -0.279372 -0.3 -0.4 0.4
C 0.418867 -0.932893 -0.968621 0.4 -0.7 -0.9
N -0.681702 -1.540042 -0.740102 0.2 0.4 0.2
S -1.726589 -0.967189 0.502065 0.1 0.2 -0.2
C -1.965887 0.734831 0.091394 -0.2 -0.1 0.3
O -1.426181 1.333828 -0.796271 -0.1 0.0 0.1
H 1.240449 -0.746725 1.641891 0.0 0.6 -0.6
H 1.991196 0.952987 1.481611 -0.3 -0.3 -0.3
H 1.349859 1.044829 -0.875430 0.0 0.2 -0.3
H 0.984872 -1.377032 -1.839810 -0.5 0.5 0.8
H -2.727862 1.176539 0.782544 0.3 -0.1 -0.3
```
Forces are in eV/Å.

Calculated values
- Kohn-Sham gap (eV) = 9.5
- spin multiplicity = 1
- energy (eV) = -18599.863
- F_max (eV/A) = 1.19
- structure (SMILES) = C=C/C=N\SC=O
- energy relative to the best compared isomer or geometry (same formula, charge and spin) (eV) = 2.0556

The following is a DFT calculation (the ωB97M-V functional and the def2-TZVPD basis) of a molecular structure, C41H62FN6NbO4PS in a non-equilibrium geometry.

```
117
Properties=species:S:1:pos:R:3:forces:R:3
C 6.691879 -0.008056 1.540963 -0.6 0.2 0.3
C 5.271752 -0.594149 1.092508 0.4 0.4 -1.0
C 5.349924 -1.610594 -0.157957 1.0 0.2 0.9
C 4.780392 -3.043726 0.156513 0.1 0.4 0.6
C 3.216372 -3.132258 0.234870 -0.5 -0.7 -0.5
C 2.493574 -2.848431 -1.167585 0.7 1.1 1.4
C 2.234347 -1.267699 -1.280238 0.6 -0.8 -1.2
C 0.754463 -0.876974 -1.653714 0.2 0.3 -0.2
Nb -0.534038 -0.052957 0.007745 2.0 0.1 3.4
N -0.020868 -1.728532 1.207376 -1.2 0.5 -2.2
C -1.100643 1.675939 -1.385202 0.4 -1.4 -0.9
O -2.427705 2.160164 -0.964969 -0.1 2.4 -0.7
C -2.371563 3.423182 -0.425084 0.0 -0.8 0.1
C -3.462830 4.420434 -0.931601 -0.7 -0.7 0.2
O -1.532805 3.686672 0.409096 -0.7 0.7 -0.5
C 1.167266 1.085168 0.992448 0.7 0.4 -0.6
C 1.873956 2.191336 0.159311 -0.1 1.5 1.7
C 3.178421 2.741444 0.894813 -0.2 -0.9 0.0
F 2.169075 1.860202 -1.192803 0.0 -0.2 0.9
O -1.816658 0.785708 1.423579 0.2 -2.0 0.4
C -2.150327 0.042303 2.500965 -1.8 -0.4 0.9
O -1.453688 -0.245196 3.449565 0.3 0.4 -0.9
C -3.662751 -0.393268 2.607318 -1.2 1.0 -0.9
C -4.094861 -1.722536 2.993951 -2.0 1.6 -0.3
C -5.547763 -1.950090 3.072075 0.4 1.9 -0.4
C -6.507123 -0.872746 2.799274 1.7 0.5 -0.4
C -6.059946 0.458274 2.400996 1.8 -1.6 0.5
C -4.622109 0.682475 2.295521 -1.0 -1.9 0.6
P -2.524014 -1.336885 -1.120110 0.1 0.5 -1.1
S -3.132240 -2.912083 -0.111637 -0.4 -0.9 0.6
H 7.455309 -0.803387 1.746065 -0.7 0.6 -0.3
H 7.118024 0.725251 0.798494 -0.5 -1.0 0.5
H 6.559675 0.591172 2.489910 0.1 -0.7 -0.9
H 4.728312 -1.060467 1.956983 0.6 0.4 -0.7
H 4.671523 0.282804 0.732925 0.3 -0.8 0.6
H 6.456252 -1.733714 -0.369764 -1.1 0.1 0.1
H 4.916804 -1.136960 -1.073787 0.2 -0.5 0.8
H 5.178736 -3.324751 1.177991 -0.3 0.2 -1.0
H 5.247853 -3.763895 -0.566243 -0.7 0.4 0.4
H 2.855351 -2.426385 1.038893 0.3 -0.6 -0.9
____________
Here the text continues
Some technologies have begun to address this problem. One of the potential use cases of the Apple Watch, for instance, was as a way for us to put our phones down and reconnect with the world. Apple’s smartwatch has had some success and has achieved this to some degree, but there is still a long way to go.
Yet for some of us, our addiction to our phones isn’t just a nuisance, but represents a real challenge to our most important relationships. This is found in the relationships with our partners, and especially with our kids.

With this in mind, Oded Israeli is trying to solve the strain technology has put on our relationships with a new series of apps for parents. The first app in the series, O’Daddy, is designed to help parents find a way to reconnect with their kids.
Israeli, the CEO of the company, is no stranger to the addictive pull of smartphones. He was inspired to create O’Daddy after playing a major role at a top startup. Israeli was in the midst of closing a major funding round from Alibaba when his daughter was born. He was at the hospital with his new child, and yet his phone was still pulling him back to the world of business and deadlines.
“Our kids have to compete for our attention against mobile devices, and many times the devices win,” Israeli said. “Our children then follow our example, get addicted to screens, and find it hard to focus on real life. We’re the last generation of parents who grew up without smartphones, so it’s up to us to preserve what we liked about our own childhood and be present in our kids’ lives everyday.”
## Here the article breaks off for records of molecules
<<<
No. 1
C12H23AuCl2N4O2PSTe | ωB97M-V/def2-TZVPD

## Properties
* calculated total energy: -79021.4163 eV
* HOMO-LUMO gap (alpha / beta): 9.096 / 6.448 eV
* charge: +1
* <S²>: 2.022
* 2S+1: 3
* energy relative to the best compared isomer or geometry (same formula, charge and spin): 31.5 kJ/mol

Last column: Löwdin spin population.
Positions of all 47 atoms, in Å:
Au1 -0.5978 -0.4358 -0.4639  0.343
Te1 -1.8360 -2.5826 -1.7910  1.068
Cl1 0.9020 2.4580 0.2120  0.021
Cl2 -1.8187 3.2173 1.0140  0.003
S1 -0.4657 -4.3521 0.6644  0.010
P1 2.5659 -1.6211 -0.2026  0.003
O1 1.3740 -0.7101 -0.0038  0.023
O2 -4.3481 0.7892 0.3893  0.029
N1 3.0312 -2.1624 1.2660  0.001
N2 -2.4930 0.0468 -0.9048  0.115
N3 2.2178 -2.8826 -1.2020  0.000
N4 3.7918 -0.7802 -0.8780  0.000
C1 2.0897 -2.3943 2.3572  0.000
C2 1.8598 -2.6204 -2.5925  0.014
C3 -3.4037 0.4209 -0.1987  0.030
C4 2.5971 -4.2632 -0.9365  0.000
C5 -0.2848 -6.0414 0.5882  0.091
C6 4.1678 0.5160 -0.3139  0.000
C7 4.7824 -1.3484 -1.7848  0.000
C8 -0.7787 -6.5634 -0.5772  0.013
C9 -1.3045 -5.5689 -1.4280  0.089
C10 -1.1770 -4.2981 -0.8972  0.120
C11 4.3965 -2.6016 1.5362  0.000
C12 -0.1458 3.7453 0.8624  0.000
H1 0.1548 -6.5799 1.4155  0.004
H2 4.4462 -3.6859 1.6756  0.000
H3 2.7878 -4.4079 0.1240  0.000
H4 1.7779 -4.9256 -1.2285  0.000
H5 2.4448 -1.8937 3.2590  0.000
H6 -1.7550 -5.7701 -2.3917  0.005
H7 2.6930 -2.8218 -3.2724  0.001
H8 1.0302 -3.2689 -2.8859  0.011
H9 3.4897 -4.5541 -1.5009  0.000
H10 3.4040 0.8644 0.3760  0.000
H11 1.1119 -1.9932 2.1044  0.000
H12 -0.0988 4.5848 0.1837  0.000
H13 4.8660 -0.7338 -2.6836  0.000
H14 5.0577 -2.3294 0.7174  0.000
H15 -0.7712 -7.6197 -0.8087  -0.001
H16 4.5074 -2.3573 -2.0790  0.000
H17 5.1184 0.4420 0.2226  0.000
H18 4.7639 -2.1236 2.4460  0.000
H19 0.2261 4.0036 1.8439  0.000
H20 5.7678 -1.3892 -1.3101  0.000
H21 1.9952 -3.4603 2.5727  0.000
H22 1.5579 -1.5812 -2.7197  0.002
H23 4.2738 1.2526 -1.1116  0.000



No. 2
C12H23B2ClFN2O10P | ωB97M-V/def2-TZVPD

## Properties
* calculated total energy: -62148.4659 eV
* HOMO-LUMO gap: 4.986 eV
* charge: -2

Last column: natural (NBO) charge in e.
Positions of all 52 atoms, in Å:
Cl1 0.1302 2.5813 -2.4560  -0.077
P1 -0.2889 -1.6857 0.3832  1.048
F1 -1.5026 0.0540 -4.7198  -0.380
O1 3.9309 2.6464 -3.0530  -0.348
O2 -2.2456 0.6178 0.7174  -0.809
O3 1.6346 -2.1555 -2.9613  -1.018
O4 -3.3276 0.9179 4.8749  -0.484
O5 3.4148 0.9605 -2.0381  -0.385
O6 -3.0717 2.1994 6.7653  -0.664
O7 -0.2357 0.0448 -2.0124  -0.722
O8 1.4839 0.3284 -0.4901  -0.709
O9 -3.9822 0.0921 6.8015  -0.505
O10 -0.5487 2.2996 0.9751  -0.883
N1 3.3819 2.3029 -1.9902  0.409
N2 -1.1633 -2.7087 -0.5163  -1.389
C1 0.0252 0.2521 -6.7072  -0.668
C2 0.7915 0.8654 -2.6792  0.283
C3 -0.0862 -0.1679 -5.0920  0.213
C4 -2.7247 1.9527 4.0860  -0.090
C5 3.5709 -3.5700 -1.3265  -0.625
C6 2.0933 0.3537 -1.8279  0.127
C7 0.9973 0.7760 -4.3025  -0.487
C8 -4.0605 0.1965 8.2209  -0.253
C9 -1.2139 1.9378 4.2391  -0.641
C10 -3.4325 1.1772 6.2013  0.984
>>>
## So much for the records of molecules

How does O’Daddy help parents focus on their kids? It does four main things: it helps parents create time by sending them push reminders; it suggests activities so parents have a ready list of ideas; it helps parents focus on the activity and their kids while they’re doing it; and it helps parents track the time they spend with their kids (think RunKeeper but for doing fun things with your children).
The focus part of the app was really interesting to me. Once you pick an activity, the app basically tells you to put your phone down and stop using it. It keeps track of how much time you spend without using your phone, and credits you with points for the time you spend on the activity. On top of this, the activity recommendations are pretty broad, while also being tailored for the user based on algorithms and crowdsourced ideas from other users.
O’Daddy is taking on a huge problem and will certainly face several challenges. Chief amongst these is the fact that smartphones are amazing and engaging pieces of technology that people love using. Yes, they can pull us away from our friends and family, but maybe we aren’t strong enough to resist them? I hope O’Daddy, and other apps that come along in this area, can help us reconnect with the people we love. I love my phone, but I don’t want it to rule my life.